BattleForums Senior Member
you got it backwards dude.
and how is that exactly?Originally posted by amrtin77
you got it backwards dude.
So u may see now that i disagree with u cause u have no explanations for your argument. U just say that it is so because it is and make for some reason u mention Hitler, still that does not change it fascim has never influenced Russia, and it was not fascism that made it possible for USSR to exist so long,which i think was good for Russia as a nation.Originally posted by amrtin77
nevermind, i thought u had it backwardsi reread your post my bad
It was not fascism it was dictatorship, and let me change my opinion yes fascism did influence Russia, we cam out of the war with Nazis more powerful then ever. What do u think fascism is? Killing of innocent people and trying to conquer the world? Because if u think that is fascism u are deeply mistaken.Originally posted by amrtin77
it was a mistake on my part, but now your startin somethin.......
fascism never influenced russia? so stalin never existed, right? if im not mistaken it was stalin who industrialized russia.
we did not racism and there is another word for what we had totalitarismOriginally posted by amrtin77
fas·cism ( P ) Pronunciation Key (fshzm)
often Fascism
A system of government marked by centralization of authority under a dictator, stringent socioeconomic controls, suppression of the opposition through terror and censorship, and typically a policy of belligerent nationalism and racism.
A political philosophy or movement based on or advocating such a system of government.
Oppressive, dictatorial control.
i am not mistaken.
Lets not forget who invented those first...Originally posted by Otmorosok
And we would have nukes, and hydrogen bombs, we did not steal it from u we invented it ourselves,
Let's not forget you are an American.
it is just so typical of Americans to make up some redicilus stories then they cant take the truth, yes we are as smart as you, and yes u should be happy that real war never came, because all you have to do to get killed is to get Russia angry, like did Napoleon and Hitler.
Originally posted by Guru
Lets not forget who invented those first...
Let's not forget you are an American.
Individual Russians are just as smart as Individual Americans, but lets remember America has literally twice the amount of people. Thats twice the amount of minds. As an overall country, the United States is smarter for the simple fact we have twice the amount of minds to think.
The reason Napoleon and Hitler lost to Russia had nothing to do with Russia's anger. It was for the simple fact they were poorly equiped, and a vast amount of them died because of the harsh climate.
If the United States and Russia were to go to war, there is no question the United States would win, unless nukes were used.
In that case, our missles would pass eachother in the air, and it would be a nuclear holocaust, resulting in a draw.
However, if nuclear missles were not used, the United States
would win so easily with the huge edge on technology. Yes, you have hydrogen bombs, but those are old school. How are your cruise missles and stealth bombers coming along? Modern warfare has nothing to do with anger and shear numbers, it is all about the military leaders, technology, and money.
You don't have to live in Russia to know what Russia is like. If you think you do, it (and all the other arrogant remarks) just goes to show I obviously know more than you do.Originally posted by Otmorosok
I would expect u to say all this, u are not Russian, u have never been to Russia, u don't know anything, and what was that about me being an american?
We would have won WW2 without anyonce help, it is all in numbers, Hitler kills more of as we become angrier, i am not saying that only Russians are doing that during the war, all i am saying that we have loyalty to our land, u have loyalty to your government, it angered as greately that Germans were taking our land, all we needed was motivation, Germans dug their own grave. I didn't say that we invented nukes first, i said that we invented them without any help from US traitors.
Now to say something to Faerie and that other guy, i know that your public school system is very uninformotive so i understand why u are the way u are. First we would have won the war without weather, for example Stalingrad, we destroyed most of German panzer devisions in there, how was weather helping as? Our soldiers had to run against German machine guns, and only every third soldier was given a rifle, yet we won and if we haven't destroyed those panzers with our tanks (T-34 considered the best medium size tank of WW2) then they would very easily destroy your forces, they done very good job at it before Hitler send them to Stalingrad. If we haven't destroyed those tanks then all Hitler had to do was to just provide air support because the exchange rate of the tanks was 1 German for 20 Allied. You would have been simply over run. Faerie if not Stalin then we would have more people, we had 20 years before WW2 to industrialize, if we would do it the way Lenin planned then things would go smoothly and 10 million Russian people would not end up dead, killed by Stalin.
Any anger that Russia had was cancelled out by stupidity. Russia has never been much for generalship.By Dec., 1941, German mechanized divisions had destroyed a substantial part of the Soviet army and had overrun much of European Russia. However, the harsh Russian winter halted the German sweep
And i didn't want to say this but, well world doesn't like you, before the Iraq situation you were looked at as a little anoying, but mostly good nation with good people and all, but now people are starting to talk about you starting WW3, even i the one who has freinds in US, feel some sort of hostility towards it, in Iraq situation you didn't even try to hide that you are doing something like that only because of resources and to have more influence. Sorry for saying this but i have been to Germany and England recently, that is how people feel. That is the fact, i did not make this up.
Originally posted by Guru
You don't have to live in Russia to know what Russia is like. If you think you do, it (and all the other arrogant remarks) just goes to show I obviously know more than you do.
What was that about you being an American? You live in America, you can be classified as an American - regardless of if you have gone through naturalization or not.
As I said it before, the main reason Germany loss was because the land and weather was so harsh.
Any anger that Russia had was cancelled out by stupidity. Russia has never been much for generalship.
As I stated previously, so many Germans had frozen to death and suffered from frost bite they weren't able to stop the Russian counter offensive. If they had had good weather, they would have had way more men and been able to hold Stalingrad.
The reason Russia one had nothing to do with "anger". It was because of more tanks, bad weather, and shear numbers. Sorry to burst your bubble of extreme arrogance once again.
Furthermore, without technology developed by the United States, Russia would not have been able to develop nuclear weapons.
Oh, and since your ignorant and didn't know, in our school system, you can take AP classes your sophmore year. But I would expect such lack of knowledge from an arrogent Russian.
Rofl, no shit sherlock. Why you felt the need to state such the obvious is a mystery. But, I have a new flash for you, it doesn't matter if the rest of the world hates us, as long as the worlds leaders do. Take Great Britain and France for example - there people hate us - but we are still allies are we not?
Originally posted by Otmorosok
Wrong. My knowledge is based on what normal Russias say and have said.Second you don't know anything about Russia, cause you haven't been there, your knowledge is based only on stereotipyes,
I don't care what you say about as wining the war only because of our weather, because i can give you a couple of douzen sources that will say that weather had nothing to do with it, exept you are not smart enough to understand the languages they are written in and i don't want to bother with translating.
I love how you can never back you awnsers try to say that you can, but then make excuses to avoid posting where those sources are.
Stop tossing out things you cant proove. I see it everyone of your posts. You try to say something is true about someone or something for stupid reasons that you have observed and stick by them although no one agrees with you.
We have great technology, maybe in some ways better then yours, all you said was that your technology is greater, you said that because you think that we still use 50 year old technology we used in WW2.
I never said you used equipment from WW2, but the US has the technological edge. It's fact, rather you would like to except it or not, that how it is.
Want examples?
You have MIGs...big whoop...have you seen the new stealth fighters for airial combat the US are coming out with? They are amazing...
Through out history, the United States has made the majority of technicological advances. Just about everything you have, we had first. While you are developing new technology, we are making ours better.
No offense to you oh so dear motherland, but you can't compete with the United States in technology. For the simple fact we have more minds to think, and more money to spend on programs, manufacturing, et cetra.
Might I add, money is perhaps the most important thing in modern warfare, and it just so happens the United States accounts for 1% of the Worlds population, but contains 60% of the worlds wealth.
Thats the facts.
I know that you are 20% illiterate, so I suppose you missed the section of my posting in response to the world hating America. However, that seems to be such a big concern to you, I will elaborate on it.
If i die in Chechnya, then my freinds and family will care about it. And i am guessing that if you don't reply to my comment about world not liking US, you are agreeing with me. US is better not to put it's nose in what isn't its business or the real nations, the old world nations including Russia may finaly get anoyed enough to stop tolerating your existence. You don't like the truth then shut up and go crying to your Mommy, i am sure someone like you is good at doing that. I am sure that you are going to be satisfied with yourselve at age 18 then all you have to do to feel patriotic is to pay taxes, while i am going to show my love for my nation with my blood.
(Attached: molecular data)
'''
Below is a structure of composition C43H39F6N4O8S2Ta at a distorted geometry, with properties calculated with ωB97M-V/def2-TZVPD.

E_HOMO in eV: -13.30
Max |F| in Eh/bohr: 0.067
LUMO in eV: -5.8
Total charge: +2
Multiplicity: 1
Energy above the lowest of the compared OMol25 structures with the same formula, charge and spin in eV: 1.594

Last column: Mulliken charge in e.
Cartesian coordinates (Å):
Ta  -0.40001  -0.66934  0.01898  0.7694
O  -0.13195  0.58014  -1.22881  0.7026
C  0.65612  1.22023  -2.25785  2.2312
C  1.98509  0.41399  -2.22806  -0.6116
C  2.64269  0.55859  -0.89221  0.1142
C  3.80531  1.30533  -0.79579  -0.7807
C  4.34952  1.56395  0.44725  -1.3615
C  3.69350  1.08359  1.56303  -0.8037
C  2.54044  0.32552  1.41884  -0.0242
C  1.81678  -0.14509  2.64265  -1.4335
C  0.43401  0.54168  2.75578  2.4406
O  -0.24128  0.11907  1.57598  1.6161
C  -0.37625  0.12054  3.98520  -0.5781
C  -1.76758  0.16133  3.89785  0.1433
C  -2.55192  -0.09096  5.01131  -1.1371
C  -1.95285  -0.40199  6.22326  -0.6843
C  -0.57069  -0.44307  6.31476  -1.1621
C  0.21770  -0.17600  5.20410  -0.5015
C  0.48223  2.06805  2.84881  1.1889
C  -0.51951  2.83180  2.25598  0.0410
C  -0.56160  4.20253  2.45774  -0.7243
C  0.39374  4.82432  3.24746  -0.8715
C  1.39314  4.06687  3.83903  -0.8955
C  1.43174  2.69385  3.64714  -0.3737
N  2.03584  0.03820  0.19608  0.3763
C  0.92595  2.69761  -1.97057  0.2251
C  1.00076  3.61624  -3.01432  -0.8910
C  1.33549  4.93816  -2.76559  -1.0088
C  1.61149  5.35915  -1.47452  -1.0202
C  1.51230  4.45613  -0.42816  -0.6294
C  1.16058  3.13821  -0.67284  0.5390
C  -0.03241  1.07188  -3.60913  -0.0569
C  0.66536  0.89500  -4.79933  0.0315
C  -0.02004  0.80478  -6.00437  -0.7260
C  -1.40439  0.86956  -6.03027  -0.8969
C  -2.10297  1.07425  -4.84928  -0.7055
C  -1.41626  1.19441  -3.65106  -0.5249
H  2.64941  0.78525  -3.00142  0.9121
H  1.70572  -0.62118  -2.42979  -0.7612
H  4.26903  1.69010  -1.69315  0.5738
H  5.25378  2.14965  0.54286  0.4865
H  4.07186  1.29041  2.55378  0.5441
H  2.42100  0.04212  3.52427  1.2758
H  1.61777  -1.21003  2.56355  -0.1415
H  -2.23279  0.42036  2.95687  0.4873
H  -3.62892  -0.01948  4.93260  0.5164
H  -2.56575  -0.59924  7.09210  0.4641
H  -0.09633  -0.66817  7.26055  0.4888
H  1.29566  -0.19114  5.30591  0.4686
H  -1.27651  2.35651  1.64591  0.3456
H  -1.34890  4.78791  2.00088  0.4922
H  0.35430  5.89310  3.41002  0.4411
H  2.13544  4.53896  4.46877  0.4918
H  2.18933  2.11144  4.15718  0.4107
H  0.79001  3.30991  -4.02942  0.4253
H  1.38232  5.63934  -3.58796  0.4648
H  1.88910  6.38714  -1.28426  0.4633
H  1.70559  4.77074  0.58763  0.4999
H  1.05024  2.45661  0.15570  -0.4138
H  1.74724  0.86315  -4.81331  0.3408
H  0.53769  0.69738  -6.92548  0.5096
H  -1.93250  0.79571  -6.97148  0.4536
H  -3.18045  1.17085  -4.86266  0.5216
H  -1.93318  1.42686  -2.73275  0.5962
O  -0.13430  -2.36165  2.40302  -0.3141
C  0.04588  -3.74080  2.19280  -1.2571
C  0.87485  -3.91993  0.95872  0.8891
'''
What you said was in no way fact. A select few of people that you bumped into in England and Germany can in no way represent an entire country. You thinking it is goes to show how ignorant you are. Yes, some English and Germans do dislike America, but they both owe a ton to America. Some of the more intellgent Europeans realize that.
Furthermore, it doesn't matter if some of the world dislikes America, as long as their leaders do. Take Great Britain and France for example - there people hate us (and if you lived in America you would know we hate them just as much in return) - but we are still allies are we not? Politics is not a popularity contest, kid.
America has provided aid to so many countries, and so many countries owe their existence to America. Whether you (and others) like it or not, America has helped this world far more than Russia ever has.
And let me add this: although some people may dislike us, the immagrents keep pouring in, and not many are leaving. I don't see anyone rushing into Russia.
Thats is what a fact is. Not opinions of one or two kids from your past expierences.